**Wanted:**
Your job: print the rows below exactly.
**Excerpt:**
********
This entry pairs a crystal structure of MnNiN2 with its calculated powder XRD pattern. Radiation: copper Kα. Structure: a cell relaxed with PBE.
Kinematic intensities with the Lorentz-polarization factor, no thermal factor.

Largest 10 diffraction maxima, by angle, 2θ from 15° to 90°:
2theta  intensity
29.8  62
39.7  34
40.5  38
42.6  100
46.0  25
55.8  14
61.9  63
72.1  25
79.9  21
87.5  11

Cell and atoms:
a = 2.6204 Å, b = 2.6204 Å, c = 11.9848 Å
α = 90.00°, β = 90.00°, γ = 120.00°
Space group P6_3/mmc (No. 194)
Unique sites:
Mn 0.3333 0.6667 0.2500 [2 per cell]
Ni 0.0000 0.0000 0.0000 [2 per cell]
N 0.0000 0.0000 0.1517 [4 per cell]

This entry pairs a crystal structure of Ba2Li3TaN4 with its calculated powder XRD pattern. Radiation: copper Kα. Structure: a cell relaxed with PBE.
Kinematic intensities with the Lorentz-polarization factor, no thermal factor.

Largest 10 diffraction maxima, by angle, 2θ from 15° to 90°:
2theta  intensity
17.9  63
18.0  88
28.5  100
29.0  99
31.3  88
31.5  40
32.2  30
35.1  33
36.1  30
37.1  35

Cell and atoms:
a = 11.366 Å, b = 5.719 Å, c = 11.135 Å
α = 90.00°, β = 118.87°, γ = 90.00°
Space group C2/c (No. 15)
Unique sites:
Ba 0.153 0.218 0.112 [8 per cell]
Li 0.000 0.384 0.250 [4 per cell]
Li 0.176 0.294 0.542 [8 per cell]
Ta 0.000 0.137 0.750 [4 per cell]
N 0.077 0.341 0.662 [8 per cell]
N 0.138 0.068 0.387 [8 per cell]

This entry pairs a crystal structure of Lu3Co2Si3 with its calculated powder XRD pattern. Radiation: copper Kα. Structure: a cell relaxed with PBE.
Kinematic intensities with the Lorentz-polarization factor, no thermal factor.

Largest 10 diffraction maxima, by angle, 2θ from 15° to 90°:
2theta  intensity
24.6  29
26.6  40
27.2  19
35.1  60
36.0  100
38.1  20
40.1  34
40.6  17
44.7  31
60.2  27

Cell and atoms:
a = 4.054 Å, b = 10.190 Å, c = 13.339 Å
α = 90.00°, β = 90.00°, γ = 90.00°
Space group Cmcm (No. 63)
Unique sites:
Lu 0.000 0.080 0.113 [8 per cell]
Lu 0.000 0.361 0.250 [4 per cell]
Co 0.000 0.213 0.583 [8 per cell]
Si 0.000 0.333 0.750 [4 per cell]
Si 0.000 0.383 0.039 [8 per cell]

This entry pairs a crystal structure of HoGa3 with its calculated powder XRD pattern. Radiation: copper Kα. Structure: a cell relaxed with PBE.
Kinematic intensities with the Lorentz-polarization factor, no thermal factor.

Largest 10 diffraction maxima, by angle, 2θ from 15° to 90°:
2theta  intensity
25.1  25
29.0  19
34.2  37
36.0  85
38.0  52
38.7  100
42.4  59
60.1  39
69.1  16
73.3  41

Cell and atoms:
a = 6.1583 Å, b = 6.1583 Å, c = 14.2202 Å
α = 90.00°, β = 90.00°, γ = 120.00°
Space group P6_3/mmc (No. 194)
Unique sites:
Ho 0.0000 0.0000 0.2500 [2 per cell]
Ho 0.3333 0.6667 0.0916 [4 per cell]
Ga 0.0398 0.5199 0.7500 [6 per cell]
Ga 0.1665 0.3330 0.5816 [12 per cell]

This entry pairs a crystal structure of Mg2Ti3O8 with its calculated powder XRD pattern. Radiation: copper Kα. Structure: a cell relaxed with PBE.
Kinematic intensities with the Lorentz-polarization factor, no thermal factor.

Largest 10 diffraction maxima, by angle, 2θ from 15° to 90°:
2theta  intensity
18.2  100
21.0  27
28.5  50
31.0  36
36.8  64
39.0  32
46.4  71
49.6  29
57.8  37
64.3  36

Cell and atoms:
a = 10.490 Å, b = 5.988 Å, c = 4.974 Å
α = 90.00°, β = 111.83°, γ = 90.00°
Space group C2/m (No. 12)
Unique sites:
Mg 0.223 0.000 0.155 [4 per cell]
Ti 0.000 0.232 0.500 [4 per cell]
Ti 0.000 0.500 0.000 [2 per cell]
O 0.106 0.000 0.426 [4 per cell]
O 0.108 0.500 0.421 [4 per cell]
O 0.115 0.275 0.908 [8 per cell]

This entry pairs a crystal structure of Er3Co11B4 with its calculated powder XRD pattern. Radiation: copper Kα. Structure: a cell relaxed with PBE.
Kinematic intensities with the Lorentz-polarization factor, no thermal factor.

Largest 10 diffraction maxima, by angle, 2θ from 15° to 90°:
2theta  intensity
20.5  27
34.5  100
35.9  29
41.7  85
45.8  91
63.7  34
71.6  22
72.8  16
76.2  20
86.4  15

Cell and atoms:
a = 4.9976 Å, b = 4.9976 Å, c = 9.7431 Å
α = 90.00°, β = 90.00°, γ = 120.00°
********
**Reply:**
This entry pairs a crystal structure of MnNiN2 with its calculated powder XRD pattern. Radiation: copper Kα. Structure: a cell relaxed with PBE.
Kinematic intensities with the Lorentz-polarization factor, no thermal factor.

Largest 10 diffraction maxima, by angle, 2θ from 15° to 90°:
2theta  intensity
29.8  62
39.7  34
40.5  38
42.6  100
46.0  25
55.8  14
61.9  63
72.1  25
79.9  21
87.5  11

Cell and atoms:
a = 2.6204 Å, b = 2.6204 Å, c = 11.9848 Å
α = 90.00°, β = 90.00°, γ = 120.00°
Space group P6_3/mmc (No. 194)
Unique sites:
Mn 0.3333 0.6667 0.2500 [2 per cell]
Ni 0.0000 0.0000 0.0000 [2 per cell]
N 0.0000 0.0000 0.1517 [4 per cell]

This entry pairs a crystal structure of Ba2Li3TaN4 with its calculated powder XRD pattern. Radiation: copper Kα. Structure: a cell relaxed with PBE.
Kinematic intensities with the Lorentz-polarization factor, no thermal factor.

Largest 10 diffraction maxima, by angle, 2θ from 15° to 90°:
2theta  intensity
17.9  63
18.0  88
28.5  100
29.0  99
31.3  88
31.5  40
32.2  30
35.1  33
36.1  30
37.1  35

Cell and atoms:
a = 11.366 Å, b = 5.719 Å, c = 11.135 Å
α = 90.00°, β = 118.87°, γ = 90.00°
Space group C2/c (No. 15)
Unique sites:
Ba 0.153 0.218 0.112 [8 per cell]
Li 0.000 0.384 0.250 [4 per cell]
Li 0.176 0.294 0.542 [8 per cell]
Ta 0.000 0.137 0.750 [4 per cell]
N 0.077 0.341 0.662 [8 per cell]
N 0.138 0.068 0.387 [8 per cell]

This entry pairs a crystal structure of Lu3Co2Si3 with its calculated powder XRD pattern. Radiation: copper Kα. Structure: a cell relaxed with PBE.
Kinematic intensities with the Lorentz-polarization factor, no thermal factor.

Largest 10 diffraction maxima, by angle, 2θ from 15° to 90°:
2theta  intensity
24.6  29
26.6  40
27.2  19
35.1  60
36.0  100
38.1  20
40.1  34
40.6  17
44.7  31
60.2  27

Cell and atoms:
a = 4.054 Å, b = 10.190 Å, c = 13.339 Å
α = 90.00°, β = 90.00°, γ = 90.00°
Space group Cmcm (No. 63)
Unique sites:
Lu 0.000 0.080 0.113 [8 per cell]
Lu 0.000 0.361 0.250 [4 per cell]
Co 0.000 0.213 0.583 [8 per cell]
Si 0.000 0.333 0.750 [4 per cell]
Si 0.000 0.383 0.039 [8 per cell]

This entry pairs a crystal structure of HoGa3 with its calculated powder XRD pattern. Radiation: copper Kα. Structure: a cell relaxed with PBE.
Kinematic intensities with the Lorentz-polarization factor, no thermal factor.

Largest 10 diffraction maxima, by angle, 2θ from 15° to 90°:
2theta  intensity
25.1  25
29.0  19
34.2  37
36.0  85
38.0  52
38.7  100
42.4  59
60.1  39
69.1  16
73.3  41

Cell and atoms:
a = 6.1583 Å, b = 6.1583 Å, c = 14.2202 Å
α = 90.00°, β = 90.00°, γ = 120.00°
Space group P6_3/mmc (No. 194)
Unique sites:
Ho 0.0000 0.0000 0.2500 [2 per cell]
Ho 0.3333 0.6667 0.0916 [4 per cell]
Ga 0.0398 0.5199 0.7500 [6 per cell]
Ga 0.1665 0.3330 0.5816 [12 per cell]

This entry pairs a crystal structure of Mg2Ti3O8 with its calculated powder XRD pattern. Radiation: copper Kα. Structure: a cell relaxed with PBE.
Kinematic intensities with the Lorentz-polarization factor, no thermal factor.

Largest 10 diffraction maxima, by angle, 2θ from 15° to 90°:
2theta  intensity
18.2  100
21.0  27
28.5  50
31.0  36
36.8  64
39.0  32
46.4  71
49.6  29
57.8  37
64.3  36

Cell and atoms:
a = 10.490 Å, b = 5.988 Å, c = 4.974 Å
α = 90.00°, β = 111.83°, γ = 90.00°
Space group C2/m (No. 12)
Unique sites:
Mg 0.223 0.000 0.155 [4 per cell]
Ti 0.000 0.232 0.500 [4 per cell]
Ti 0.000 0.500 0.000 [2 per cell]
O 0.106 0.000 0.426 [4 per cell]
O 0.108 0.500 0.421 [4 per cell]
O 0.115 0.275 0.908 [8 per cell]

This entry pairs a crystal structure of Er3Co11B4 with its calculated powder XRD pattern. Radiation: copper Kα. Structure: a cell relaxed with PBE.
Kinematic intensities with the Lorentz-polarization factor, no thermal factor.

Largest 10 diffraction maxima, by angle, 2θ from 15° to 90°:
2theta  intensity
20.5  27
34.5  100
35.9  29
41.7  85
45.8  91
63.7  34
71.6  22
72.8  16
76.2  20
86.4  15

Cell and atoms:
a = 4.9976 Å, b = 4.9976 Å, c = 9.7431 Å
α = 90.00°, β = 90.00°, γ = 120.00°